Wednesday, June 29, 2005

The beauty from above

Posted by Hello

A demanding but a friendly voice was calling from above telling me to take a photo. I guess it didn't want me to miss such beauty, as lots of time I walk with my eyes down and my thoughts away in every day's drama. I also think it wanted to tell me how amazing the beauty that surrounds us is.
Or don't you agree?!!!

Monday, June 20, 2005

A miserable ungrateful creature

I was sitting there trying to read when a fifty year old lady caught my attention, as she came to sit in front of me with her husband and children. It was not anything she did or said that made my eyes follow her, but it was the fact that her husband was holding her hands tight and she was moving slowly, simply because she was blind. As she sat down, her husband and children went to grab some hotdogs and left her alone. So filled with peace, although her lost looks, she hanged her purse on her knee and leaned her bag on her leg, so she would feel them instead of seeing them. With tranquility, she sat there looking straight ahead as if she was watching the outside through the window.
A few moments later, her husband came, holding a hotdog in a bun for her. She took the plate from him and placed it on her laps and with searching fingers, she looked for the hotdog lying in front of her. As her fingers touched the bun, they eagerly started to search for the ketchup. As she found it, she leaned toward her husband and asked him if it was ketchup or mustard. Once he replied, the eager fingers tore open the pack and squeezed it all on the same spot. Then they spread the ketchup on the hotdog. She held the bun and slowly approached it to her mouth, which although was not a successful attempt in the first time, it was in the second. Just before her first bite, her youngest teenager son came back, all grumpy and moaning saying that they ran out of hotdogs and he couldn’t get any. So loving, she held the bun towards where the sound came from and offered him to take hers. When he asked her what she was going to eat if he took it, she simply smiled and said, “Don’t worry. I’m not that hungry. I’ll be fine.”
The words struck me tremendously. “Be fine”!!!! She was blind and she said she’d be fine. I wondered how many times I have not been fine and I thought that the world has come to an end because of a reason that doesn’t deserve. How many times have I complained about things that don’t matter? Then I realized how miserable ungrateful creature I am, not just for complaining but also for not appreciating or even realizing every bless I have.


When I was a child I was fascinated by airports. Every time someone I know was arriving or leaving, it was my little adventure to accompany my dad to either pick him up or drop him off to the airport. I always thought how amazing it would be to travel around to different places and I prayed for the day I would do that.

Now, although I have been traveling around a lot and being in an airport became quite a normal thing, I still have this fascination for them. Although the limited space the airport occupies, yet it encloses all those different people going and coming from all those different places for all those different reasons.

You see that guy dressed up in an elegant suit, with a laptop and cell phone, talking business and wonder if he was having his 50 million dollars deal within the next few hours. You see that family of six in their Hawaiian shirts, flip flops and tanned skin and wonder how great the trip to Hawaii was. You see that eighty year old, wrinkled lady in her wheel chair, with all the cheerfulness on her face and wonder if she was going to attend her granddaughter’s wedding party. You see that middle aged guy with a bunch of red roses running across the terminal and wonder if he is going to meet his beloved after being away for a long time. You see that teenage boy with his huge bag on his back and excitement in his eyes and wonder if he was going on his dream trip which he would come back from with lot of stories to tell his friends. You see that forty year old lady with a tired but a relieved face and wonder if she was pleased to be back home after a tiring job assignment.

Wherever the people were going to or coming from, whatever the purpose of the trip was, I always wondered would this trip bring them what they were looking for or would it be a totally unexpected event that they never thought would happen. I always wondered!!!

Crystal structures, kept here for reference.
+++
Entry 1:
The following is a simulated X-ray powder pattern of SrPrDyCoO6. It was derived from DFT lattice parameters and positions (PBE+U), using Cu Kα.
Kinematic intensities with the Lorentz-polarization factor, no thermal factor.

Structure:
a b c (Å): 8.046 8.046 8.046
angles (deg): 90.00 90.00 90.00
Space group F-43m (No. 216)
One atom of each set of equivalent atoms:
Sr 0.000 0.000 0.000
Pr 0.000 0.000 0.500
Dy 0.250 0.250 0.750
Co 0.250 0.250 0.250
O 0.019 0.250 0.250

The 8 most intense peaks (10° ≤ 2θ ≤ 90°), most intense first:
Position (°2θ)	Rel. int.
31.45	100
55.99	39
45.07	30
65.64	18
74.59	17
19.10	13
37.06	10
83.18	6



Entry 2:
The following is a simulated X-ray powder pattern of SrDy2CoO5. It was derived from DFT lattice parameters and positions (PBE+U), using Cu Kα.
Kinematic intensities with the Lorentz-polarization factor, no thermal factor.

Structure:
a b c (Å): 3.739 5.738 11.482
angles (deg): 90.00 90.00 90.00
Space group Immm (No. 71)
One atom of each set of equivalent atoms:
Sr 0.000 0.000 0.000
Dy 0.000 0.500 0.203
Co 0.000 0.000 0.500
O 0.000 0.247 0.352
O 0.000 0.500 0.000

The 8 most intense peaks (10° ≤ 2θ ≤ 90°), most intense first:
Position (°2θ)	Rel. int.
32.56	100
31.17	40
46.41	32
28.02	31
56.36	22
56.96	16
28.49	15
48.71	15



Entry 3:
The following is a simulated X-ray powder pattern of Sr2DyCo2O6. It was derived from DFT lattice parameters and positions (PBE+U), using Cu Kα.
Kinematic intensities with the Lorentz-polarization factor, no thermal factor.

Structure:
a b c (Å): 5.9757 5.9757 17.0836
angles (deg): 90.00 90.00 120.00
Space group R-3m (No. 166, hexagonal axes)
One atom of each set of equivalent atoms:
Sr 0.0000 0.0000 0.2049
Dy 0.0000 0.0000 0.0000
Co 0.0000 0.0000 0.4367
O 0.0140 0.5070 0.7561

The 8 most intense peaks (10° ≤ 2θ ≤ 90°), most intense first:
Position (°2θ)	Rel. int.
29.90	100
31.37	67
+++

Sunday, June 12, 2005

Dedicated to Cairo Pharmacy Graduates 2001

As time will pass and the years will flow,

Kanayes Masr El'adima Summer 1997
Originally uploaded by delingooo.
As we get more involved in the real world,

Abutalat Winter 1998
Originally uploaded by delingooo.

[Misplaced materials data]
=====
Calculated X-ray powder pattern
Compound: VH12Cl3O6
Radiation: Cu Kα X-rays
Structure: DFT lattice parameters and positions (PBE+U)
Kinematic intensities with the Lorentz-polarization factor, no thermal factor.

The 10 most intense peaks (2θ from 10° to 90°), by intensity:
2theta, intensity
20.15, 100
28.47, 60
31.50, 58
33.35, 57
27.71, 55
13.66, 53
15.68, 52
15.03, 52
40.95, 52
21.54, 49

Atomic structure:
```
data_VH12Cl3O6
_cell_length_a 6.547
_cell_length_b 6.439
_cell_length_c 11.904
_cell_angle_alpha 90.00
_cell_angle_beta 98.00
_cell_angle_gamma 90.00
_space_group_name_H-M_alt 'P 1 21/c 1'
_space_group_IT_number 14
loop_
_space_group_symop_operation_xyz
'x,y,z'
'-x,-y,-z'
'-x,y+1/2,-z+1/2'
'x,-y+1/2,z+1/2'
loop_
_atom_site_label
_atom_site_type_symbol
_atom_site_fract_x
_atom_site_fract_y
_atom_site_fract_z
V1 V 0.000 0.000 0.000
H1 H 0.020 0.133 0.619
H2 H 0.211 0.645 0.194
H3 H 0.214 0.654 0.952
H4 H 0.215 0.096 0.829
H5 H 0.315 0.235 0.939
H6 H 0.337 0.048 0.665
Cl1 Cl 0.266 0.535 0.660
Cl2 Cl 0.500 0.000 0.500
O1 O 0.077 0.722 0.934
O2 O 0.199 0.144 0.908
O3 O 0.213 0.010 0.700
```
=====

Only a few memories do remain,

Abutalat Summer1998
Originally uploaded by delingooo.

Memories we enjoyed, memories we hated,

Sharm Elsheikh Winter 1999
Originally uploaded by delingooo.

Memories of school that drove us crazy,

Sharm Elsheikh Winter 1999
Originally uploaded by delingooo.

Yet brought the funniest out of us,

Sharm Elsheikh 2000
Originally uploaded by delingooo
Memories that whenever they come to our minds,

Fall 2000
Originally uploaded by delingooo.
Bring us nothing but a cheerful smile,

Fall 2000
Originally uploaded by delingooo.

And a thought, although all the differences between us,

Eman's Engagment
Originally uploaded by delingooo
And how each one of us had his own style,

Hurgada Winter 2001
Originally uploaded by delingooo.
Yet everyone had his own share,

Simulated X-ray powder pattern
Compound: Mo5Br4
Radiation: Cu Kα (weighted mean of Kα1 and Kα2)
Structure: a structure optimized by DFT (PBE)
No peak broadening, texture or thermal motion is included.

Top 8 peaks for 2θ = 10–90°, low angle first:
Position (°2θ)  I (rel.)
11.85  36
36.07  51
38.65  100
45.92  22
48.77  12
66.58  18
71.61  13
79.37  19

Cell and atoms:
```
Mo5Br4
1.0
-5.282 5.282 1.553
5.282 -5.282 1.553
5.282 5.282 -1.553
Mo Br
5 4
Cartesian
0.000 0.000 0.000
3.733 3.733 0.000
1.549 -1.549 1.553
-1.549 1.549 1.553
1.549 1.549 1.553
3.120 0.000 0.000
7.444 0.000 0.000
0.000 3.120 0.000
0.000 7.444 0.000
```

Red Sea Monasteries Winter 2001
Originally uploaded by delingooo.

In making this group and those years,

Bassem's Birthday Summer 2001
Originally uploaded by delingooo.

The most wonderful, peculiar and unforgotten.

Dream Park 2001
Originally uploaded by delingooo.

Friday, June 10, 2005

When hotdogs and burgers.....

When hotdogs and burgers become first class food, more enjoyable than the best French cuisine,
When a can of coke, on a special occasion, is as tasty as the most expensive bottle of wine,
When fancy limousines lose their charm and a ride on the bus becomes very fine.
Know! You are satisfied.

When the sun is so hot in the sky yet the color of its rays you enjoy,
When you walk for miles and all what you feel is a needle’s prick,
When you spend hours watching the ducks and wonder how beautiful God’s creation is.
Know! You are in peace.

When a walk in the park is more exciting than a cruise in the Caribbean,
And the merry-go-round becomes an amazing adventure,
When a silly conversation is interesting and a dump joke cracks up your laughter,
When a simple gesture is a bless from heaven and success is someone’s smile.
Know! You are happy.

So my dear friend, when such a moment comes to you,
Grasp so tightly and don’t let it go,
As it will pass by and won't be here to stay,
And your life will not be at all the same,
Without you enjoying it along your tiring way.